For more than a decade, northeast Nigeria has been known internationally as a war zone. Since an Islamist insurgency started in 2009, millions of people have been displaced and hundreds of thousands are estimated to have been killed from direct or indirect causes. It is the place where the Chibok schoolgirls – and likely tens of thousands of others – were abducted, hitting headlines around the world.
It is also the birthplace of Fati Abubakar, an internationally renowned photographer in her 30s. Today, she has a dream: to establish a new arts centre in Maiduguri, the capital of her home place , Borno State.
Abubakar’s photography has garnered a huge amount of international attention. In 2014, she set up an Instagram account called Bits of Borno: her mission was to document everyday life and to show there is more to the northeast than conflict and tragedy.
Her efforts were featured by international media. In a 2016 profile, the New York Times described her as “a slender woman with a soft voice and sharp points of view”, while noting that local journalists said they had never known of another woman Nigerian photographer in their state.

A myriad of opportunities came in the following years, but Abubakar says the reaction was also “really, really overwhelming”.
“I didn’t really know how to cope with the attention. I was happy that the work got a lot of praise and it was sort of changing the narrative and people were seeing the northeast as a different place: you see the tragedy but you also see the everyday life.”
She said the focus on her personally was hard, but “my fame I think made it easier for more women in the north to identify as photographers, to want to be photographers.
“There used to be a stigma with being a journalist who is a woman in our region, so now it’s become a very, very respectable profession. Fathers are calling me saying ‘I want my daughter to join. I want her to have a studio. I want her to have a business where she enjoys what she’s doing.’ So it’s been really, really incredible in terms of shifting mentalities around the profession itself.”
Speaking on the phone from Nigeria, Abubakar says she is keen to use her position and influence to help others. She always dreamed of setting up an arts foundation to “help build a thriving creative economy” in the northeast: it would run a creative centre where students can develop skills and critical thinking before they go off to work for media organisations, or become “whatever they want to be within the media and art space”.
Most large media organisations are based in political capital Abuja, more than 800km from Maiduguri, or economic capital Lagos, more than 1,600km away. “I wanted to have a training where young people will ... learn how to be visual storytellers, because I think there’s lots of stories in the state and in the region in general.”
She says this is also about “ownership” of the stories, making sure there is an archive in the state of what it was like at this time, as seen through the lens of local people rather than foreign, usually Western, journalists.

Abubakar received an initial grant, allowing her to hire a finance and procurement officer to help. They have leased a building for two years and are working on refurbishing it. The plan is to have one room for a small library and another area where people can come in to edit their work. They will also hold exhibitions there, she hopes. “We’ve never really had a creative centre, an art centre, in the state.”
They are looking for further donations to go towards the refurbishment. One challenge is getting electricity: Maiduguri, a city effectively under siege because of the conflict, has had no electricity for about two years, after militants blew up the infrastructure supplying it. To get around this, the centre needs a generator and solar panels. She also wants to buy furniture and lights and pay other expenses towards making it a modern arts space.
She says she tried having conversations with organisations and agencies that might help, but getting commitments is hard, because their attention is drawn by so many other needs, so instead she is trying her hand at crowdfunding.
At the same time, the foundation has also started work.
It held its first photo workshop last year. Hundreds of young people applied for only 10 places, Abubakar said; they eventually found space for 30, almost half of whom were women. After it ended, she kept mentoring participants.
(Someone pasted materials data at this point)
No. 1
AlBO3: optimized geometry, PBE-GGA.

Cell: 5.314 5.314 5.314 Å, 50.16 50.16 50.16°
Fractional coordinates of all 10 atoms:
O: 0.250 0.558 0.942
O: 0.058 0.750 0.442
O: 0.558 0.942 0.250
B: 0.750 0.750 0.750
Al: 0.500 0.500 0.500
Al: 0.000 0.000 0.000
O: 0.942 0.250 0.558
O: 0.750 0.442 0.058
B: 0.250 0.250 0.250
O: 0.442 0.058 0.750

Calculated values
Total energy after the MP2020 corrections in Ha/atom: -0.3003
Crystal system: trigonal
Magnetization in μB per atom: 0.00
Space group: R-3c, No. 167
ΔH_f (0 K) in eV per formula unit: -15.59

---

No. 2
LiIrO2: optimized geometry, PBE-GGA.

Cell: 5.546 5.546 9.414 Å, 83.96 83.96 120.27°
Fractional coordinates of all 24 atoms:
Ir: 0.834 0.668 0.498
O: 0.208 0.043 0.393
Li: 0.083 0.917 0.750
O: 0.294 0.462 0.108
O: 0.629 0.126 0.108
O: 0.957 0.792 0.107
Li: 0.917 0.083 0.250
O: 0.706 0.538 0.892
Li: 0.729 0.271 0.750
Ir: 0.166 0.332 0.502
Ir: 0.332 0.166 0.002
O: 0.874 0.371 0.392
Ir: 0.500 0.000 0.500
Ir: 0.000 0.500 0.000
O: 0.126 0.629 0.608
Li: 0.271 0.729 0.250
O: 0.462 0.294 0.608
O: 0.792 0.957 0.607
Li: 0.409 0.591 0.750
Li: 0.591 0.409 0.250
O: 0.538 0.706 0.392
O: 0.043 0.208 0.893
Ir: 0.668 0.834 0.998
O: 0.371 0.874 0.892

Calculated values
Total energy after the MP2020 corrections in Ha/atom: -0.2401
Crystal system: monoclinic
Magnetization in μB per atom: 0.00
Space group: C2/c, No. 15
ΔH_f (0 K) in eV per formula unit: -5.49

---

No. 3
Li4Sc3InSi8O24: optimized geometry, PBE-GGA.

Cell: 6.737 7.485 9.674 Å, 102.75 101.75 96.28°
Fractional coordinates of all 40 atoms:
Si: 0.885 0.996 0.781
O: 0.135 0.554 0.896
O: 0.296 0.153 0.191
O: 0.115 0.993 0.868
O: 0.120 0.489 0.362
O: 0.627 0.486 0.865
Li: 0.252 0.749 0.500
O: 0.538 0.680 0.476
O: 0.841 0.208 0.842
Li: 0.749 0.751 0.999
O: 0.376 0.012 0.627
O: 0.866 0.448 0.104
O: 0.294 0.647 0.686
O: 0.464 0.818 0.026
Si: 0.114 0.005 0.218
O: 0.707 0.846 0.809
Si: 0.886 0.495 0.282
In: 0.395 0.928 0.822
Sc: 0.391 0.429 0.321
Si: 0.286 0.169 0.553
O: 0.373 0.514 0.135
O: 0.705 0.348 0.310
O: 0.539 0.186 0.981
Sc: 0.610 0.072 0.181
O: 0.134 0.054 0.395
O: 0.156 0.792 0.157
O: 0.843 0.708 0.343
O: 0.156 0.291 0.657
Si: 0.286 0.668 0.055
Sc: 0.608 0.569 0.678
O: 0.627 0.985 0.366
Si: 0.713 0.831 0.445
Si: 0.113 0.504 0.718
Li: 0.251 0.249 0.001
Li: 0.748 0.251 0.499
Si: 0.714 0.333 0.946
O: 0.880 0.511 0.638
O: 0.880 0.011 0.138
O: 0.462 0.320 0.523
O: 0.865 0.947 0.603

Calculated values
Total energy after the MP2020 corrections in Ha/atom: -0.2940
Crystal system: triclinic
Magnetization in μB per atom: 0.00
Space group: P1, No. 1
ΔH_f (0 K) in eV per formula unit: -128.44

---

Let's list energy in order: -7.760 -6.190 -7.587 eV/atom.
Let's list V in order: 81.5 244.4 459.7 Å³/cell.

=====

--- one ---
Material: Na2LiNi3O6
Method: DFT, PBE+U
State: relaxed Values from VASP.

Values from the calculation:
Magnetic moment, μB/cell: 3.0
Space group: No. 2
Mass density, kg/m³: 4587

The structure in Quantum ESPRESSO input format:
```
&SYSTEM
When they opened calls for another audio and video workshop this year, another 300 applied. “People are really interested,” she says.

Some of the applicants already work in radio stations. She says the growth of Instagram and TikTok, as well as the number of foreign photographers who have visited the region, has expanded interest. But most applicants neither have a camera nor can afford one. The foundation has 10 cameras which it loans out so people can work on projects. “For the duration of the year that we are mentoring the students we allow them to use the camera any time,” Abubakar says. “Unfortunately we cannot afford to give them the cameras.”
She is also thinking about continuity. One workshop participant from last year went on to do a fellowship with the media organisation Human Angle, and in the future she wants to find other media organisations that will partner with the foundation. She would love to see students going on to work at places such as CNN and Al Jazeera.
Even with this new mission, Abubakar is motivated by trying to change the stories told about where she is from. “It sort of enraged me that there was only one narrative so a lot of my work comes from there,” she says. “I don’t want people to remember [northeast Nigeria] only for the conflict. I feel like there’s so many beautiful things about this place and the people and the culture and the food that are kind of forgotten in the narrative about conflict. So I think it’s important to make people remember that there’s more to this place than what you see.”
“Foreign coverage of Africa in general is something that a lot of Africans struggle with,” she continues. “Obviously no place is perfect. But we wish that there was more coverage that was nuanced and more balanced and looks at the happiness and hope, together with other tragedies that happen simultaneously. ”
When she speaks with students, Abubakar emphasises the importance of capturing a wide range of stories. “I always say look for the good, the bad and the ugly,” she said. “You have to have balanced reporting ... so that we know this is a place that has everything and doesn’t just have one thing.”